Must-watch: What's REALLY in the fake 'vaccines - former FEMA employee Celeste Solum with David Icke
Dr. Kary Mullis Inventor of PCR Test Discusses Fauci and PCR Testing + Fauci Freemason Exposed
Did This Woman Find Nanofibers in a Covid-19 Test Swab?
The Gates of Hell & ‘Luciferase’
A New Normal... Really? - Lawyers Promise ‘Nuremberg Trials’ Against All Behind COVID Scam
They are losing ideas to keep the sheep heading to the slaughter house - Mark Steele
Covid-19 Vaccines Are Weapons of Mass Destruction - and Could Wipe out the Human Race

There are [Characteristics] QBALLS~ /_\ too these Doppelganger: MUD FLOOD Replacement Populations from the OTHER SIDE of FLAT EARTH in the INNER EARTH {D.U.M.B.S.} and their entrench (nonhumans) of INCUBUS and SUCCUBUS in human form in our {human populations} +=+ on this side of FLAT EARTH!!!
aka FREE MASON lodge members these [FAKE JEWS] / * \ from the Book of Revelation known as "Hollywood" Jesuit Zionist TV Shows of their {NEWS} World Order ROMAN Catholics...
== Attached: crystal structures ==
-- begin --
Record 1
This record from the Open Quantum Materials Database describes a geometry-optimized ThScAs structure. The functional is PBE.

abc: 5.027 5.027 5.027
angles: 60.00 60.00 60.00
Each line ends with the local moment (μB).
Positions (direct):
As (0.250, 0.250, 0.250)  -0.03
Sc (0.750, 0.750, 0.750)  0.90
Th (0.000, 0.000, 0.000)  0.67

Results
As for the energy: -5.73 eV/atom.

=====

Record 2
This record from the Open Quantum Materials Database describes a geometry-optimized TmSc2As3 structure. The functional is PBE.

abc: 3.932 3.932 9.614
angles: 90.00 90.00 120.00
Positions (direct):
As (0.000, 0.000, 0.000)
As (0.333, 0.667, 0.323)
As (0.667, 0.333, 0.677)
Sc (0.667, 0.333, 0.162)
Sc (0.333, 0.667, 0.838)
Tm (0.000, 0.000, 0.500)

Results
As for the energy: -6.59 eV/atom.

=====

Record 3
This record from the Open Quantum Materials Database describes a geometry-optimized ScZnAs structure. The functional is PBE.

abc: 4.504 4.504 4.504
angles: 60.00 60.00 60.00
Positions (direct):
As (0.250, 0.250, 0.250)
Sc (0.000, 0.000, 0.000)
Zn (0.750, 0.750, 0.750)

Results
As for the energy: -4.49 eV/atom.

=====

Record 4
This record from the Open Quantum Materials Database describes a geometry-optimized Zr2ScAs structure. The functional is PBE.

abc: 4.842 4.842 4.842
angles: 60.00 60.00 60.00
Each line ends with the local moment (μB).
Positions (direct):
As (0.500, 0.500, 0.500)  -0.01
Sc (0.250, 0.250, 0.250)  0.06
Zr (0.000, 0.000, 0.000)  0.38
Zr (0.750, 0.750, 0.750)  0.15

Results
As for the energy: -7.22 eV/atom.

=====

Record 5
This record from the Open Quantum Materials Database describes a geometry-optimized Sm4As3Se structure. The functional is PBE.

abc: 7.277 7.277 4.202
angles: 90.00 90.00 109.41
Positions (direct):
As (0.500, 0.500, 0.000)
As (0.500, 0.000, 0.500)
As (0.000, 0.500, 0.500)
Se (0.000, 0.000, 0.000)
Sm (0.747, 0.253, 0.000)
Sm (0.253, 0.747, 0.000)
Sm (0.256, 0.256, 0.500)
Sm (0.744, 0.744, 0.500)

Results
As for the energy: -6.19 eV/atom.

=====

Record 6
This record from the Open Quantum Materials Database describes a geometry-optimized Sm3AsSe2 structure. The functional is PBE.

abc: 4.190 4.190 10.240
angles: 90.00 90.00 120.00
Positions (direct):
As (0.000, 0.000, 0.500)
Se (0.333, 0.667, 0.166)
Se (0.667, 0.333, 0.834)
Sm (0.000, 0.000, 0.000)
Sm (0.667, 0.333, 0.340)
Sm (0.333, 0.667, 0.660)

Results
As for the energy: -6.06 eV/atom.

=====

Record 7
This record from the Open Quantum Materials Database describes a geometry-optimized Sm3AsSe2 structure. The functional is PBE.

abc: 7.271 7.271 7.271
angles: 146.65 132.09 59.63
Positions (direct):
As (0.000, 0.000, 0.000)
Se (0.332, 0.332, 0.000)
Se (0.668, 0.668, 0.000)
Sm (0.500, 0.000, 0.500)
Sm (0.840, 0.340, 0.500)
Sm (0.160, 0.660, 0.500)

Results
As for the energy: -6.07 eV/atom.

=====

Record 8
This record from the Open Quantum Materials Database describes a geometry-optimized Tb3As2Se structure. The functional is PBE.

abc: 7.135 7.135 7.135
-- stop --
The Society of nonmason~ #TheCrewRRR [{**}]
NEVER FORGET these FREE MASON Lodge Members are all U.N. Troops in our local towns as Judges, and Dirty C.O.P.S. and all their Golden Arches and Chick Fil A Human Meat Markets....
The Society of nonmason "of and for" OUR WORLD REPUBLIC CONSTITUTION Coalition...
#TheCrewRRR [{**}]
The Rag Tag Rebellion!!!! Tag!!!! your it!!!!
Don't youm want a job with all these CORPORATIONS that make 3D Printed Fake Marijuana with no THC in it???
## Calculated crystals that have nothing to do with the article
1.
CaTm2Mg after structural relaxation. Source: Alexandria, functional PBE.

extended XYZ file:
```
4
Lattice="-1.3510 -2.6004 -2.2997 -2.0246 -1.4143 2.7887 -6.7576 5.4189 -2.1577" Properties=species:S:1:pos:R:3 pbc="T T T"
Mg -1.6878 -2.0074 0.2445
Tm -1.3657 1.0951 -0.4361
Tm -5.3919 4.3237 -1.7216
Ca -5.0666 0.7020 -0.8343
```

Computed properties:
Size of the total moment in μB per formula unit: 0.000
Calculated formation energy in eV per atom: 0.05
Energy above the lowest structure with this stoichiometry in meV per atom: 0


2.
CaTmMg2 after structural relaxation. Source: Alexandria, functional PBE.

extended XYZ file:
```
4
Lattice="3.8520 0.0000 0.0000 0.0000 3.8520 0.0000 0.0000 0.0000 7.7434" Properties=species:S:1:pos:R:3 pbc="T T T"
Tm 1.9260 1.9260 0.0000
Mg 0.0000 0.0000 5.9411
Mg 0.0000 0.0000 1.8022
Ca 1.9260 1.9260 3.8717
```

Computed properties:
Size of the total moment in μB per formula unit: 0.001
Calculated formation energy in eV per atom: -0.06


3.
CaTm2Mg6 after structural relaxation. Source: Alexandria, functional PBE.

extended XYZ file:
```
9
Lattice="3.3776 -0.0005 0.0003 -0.0006 7.8354 4.5060 -0.0022 0.0161 9.0387" Properties=species:S:1:pos:R:3 pbc="T T T"
Mg 1.6928 2.6477 1.5232
Mg 1.6872 2.6585 7.5070
Mg 1.6820 5.2033 12.0219
Mg 1.6825 7.8456 10.4902
Mg 1.6877 5.1925 6.0381
Mg 1.6923 0.0054 3.0549
Tm -0.0009 2.6171 4.5148
Tm 3.3757 5.2339 9.0303
Ca 0.0000 0.0000 0.0000
```

Computed properties:
Size of the total moment in μB per formula unit: 0.000
Calculated formation energy in eV per atom: -0.04
Energy above the lowest structure with this stoichiometry in meV per atom: 0


4.
CaTmMg after structural relaxation. Source: Alexandria, functional PBE.

extended XYZ file:
```
3
Lattice="-2.2355 -1.5992 -2.4659 2.4970 -2.6675 -0.5338 -2.9996 -1.5507 6.4898" Properties=species:S:1:pos:R:3 pbc="T T T"
Tm -1.8065 -2.3198 3.1421
Ca -0.0692 -0.0889 0.1204
Mg -0.8624 -3.4087 0.2276
```

Computed properties:
Size of the total moment in μB per formula unit: 0.000
Calculated formation energy in eV per atom: 0.03
Energy above the lowest structure with this stoichiometry in meV per atom: 55


> The highest size of the total moment belongs to which entry?

CaTmMg2

----------

Record 1
Compound: AgC4OF9
Source: the Open Quantum Materials Database
Functional: GGA-PBE
Structure: relaxed

Cell and atoms, written as POSCAR:
```
AgC4OF9
1.0
6.2939 0.0000 0.0000
0.2696 9.3422 0.0000
0.1866 0.8683 10.0633
Ag C O F
4 16 4 36
Direct
0.1940 0.4784 0.1775
0.2932 0.6123 0.9265
0.7068 0.3877 0.0735
0.8060 0.5216 0.8225
0.0113 0.2937 0.4533
0.0641 0.1400 0.2646
0.0803 0.7459 0.6777
0.2998 0.2079 0.9117
0.3026 0.8082 0.6528
0.3254 0.8197 0.1733
0.4051 0.3246 0.6872
0.4809 0.2850 0.8314
0.5191 0.7150 0.1686
0.5949 0.6754 0.3128
0.6746 0.1803 0.8267
0.6974 0.1918 0.3472
0.7002 0.7921 0.0883
0.9197 0.2541 0.3223
0.9359 0.8600 0.7354
0.9887 0.7063 0.5467
0.0931 0.6234 0.7617
0.4722 0.5937 0.1093
0.5278 0.4063 0.8907
0.9069 0.3766 0.2383
#TheCrewRRR [{**}]
These FREE MASON Lodge Members are the ones whom do all their [Fake Space] Qballs~ /_\ TV Shows of MOON LANDINGS that never happened,
and THEY LIVE feed WE ARE too Their Commonwealth Populations on the OTHER SIDE of FLAT EARTH with no Sun, nor Moon off of our Children's "Aborted" nonmason Gentile LIVES in all their U.N. Troops of (COVID19) War is Murder.......,
and (2/3rd) of your local population are with their Doppelganger MUD FLOOD Replacement Populations,
and we must {put an end} +=+ too this TREACHERY - SEDITION - High Treason as all World Leaders, and these FAKE JEWS Jesuit Zionist ROMAN CATHOLICS from the Hollywood to Bollywood non-Gentiles:
So do what "you must" my Romantic Warriors in groups, and crews, and gangs of no more then 7 where one is runner, and no less then 5 where one is runner to record what happened...
The Rag Tag Rebellion "of and for" OUR WORLD REPUBLIC CONSTITUTION Coalition...
The Society of nonmason~ #EXODICE [{**}]
Youm are the Pandemic {my nonmason} [{*}] Gentile Populations from this side of FLAT EARTH, and since all Protest are just for more TV SHOWS of Lies Agreed Upon,
youm my People and Children of Pak-Toe need too COMPROMISE any and all Racka: TV Show PROTEST for and by the MSM cause they are all in on it just like Crowds for every Hollywood to Bollywood (FAKE JEWS) +=+ from Book of Revelation and their (Gangrenous) / * \ FAKE JEWS Catholic ROMAN Jesuit Zionist:
## Inserted here: calculated crystals
[1]
Crystalline TbGd2FeSn3Ir2 at its relaxed geometry, computed with PBE.

Properties
Space-group type: Amm2, No. 38
Energy, eV per atom: -6.451

Cell: 3.7945 7.6183 7.6183 Å, 119.96 90.00 90.00°
Fractional coordinates of all 9 atoms:
1 Tb 0.0000 0.0000 0.0000
2 Gd 0.0000 0.4093 0.8186
3 Gd 0.0000 0.8186 0.4093
4 Fe 0.0000 0.4088 0.4088
5 Sn 0.5000 0.1535 0.4089
6 Sn 0.5000 0.4089 0.1535
7 Sn 0.5000 0.6652 0.6652
8 Ir 0.5000 0.0756 0.7435
9 Ir 0.5000 0.7435 0.0756

***

[2]
Crystalline Gd2TmFeSn3Ir2 at its relaxed geometry, computed with PBE.

Properties
Space-group type: Amm2, No. 38
Energy, eV per atom: -6.438

Cell: 3.7574 7.6067 7.6067 Å, 119.77 90.00 90.00°
Fractional coordinates of all 9 atoms:
1 Gd 0.0000 0.2040 0.7960
2 Gd 0.0000 0.7960 0.2040
3 Tm 0.0000 0.3883 0.3883
4 Fe 0.0000 0.7942 0.7942
5 Sn 0.5000 0.0540 0.0540
6 Sn 0.5000 0.5386 0.7942
7 Sn 0.5000 0.7942 0.5386
8 Ir 0.5000 0.1334 0.4612
9 Ir 0.5000 0.4612 0.1334

***

[3]
Crystalline GdTm2FeSn3Ir2 at its relaxed geometry, computed with PBE.

Properties
Space-group type: Amm2, No. 38
Energy, eV per atom: -6.426

Cell: 3.7377 7.5941 7.5941 Å, 120.25 90.00 90.00°
Fractional coordinates of all 9 atoms:
1 Gd 0.0000 0.0000 0.0000
2 Tm 0.0000 0.4072 0.8139
3 Tm 0.0000 0.8139 0.4072
4 Fe 0.0000 0.4092 0.4092
5 Sn 0.5000 0.1506 0.4086
6 Sn 0.5000 0.4086 0.1506
7 Sn 0.5000 0.6634 0.6634
8 Ir 0.5000 0.0754 0.7366
9 Ir 0.5000 0.7366 0.0754

***

[4]
Crystalline KGdFeS3 at its relaxed geometry, computed with PBE.

Properties
Space-group type: Cmcm, No. 63
Energy, eV per atom: -5.734

Cell: 7.3739 7.3739 10.5391 Å, 90.00 90.00 148.46°
Fractional coordinates of all 12 atoms:
1 K 0.2457 0.7543 0.7500
2 K 0.7543 0.2457 0.2500
3 Gd 0.5000 0.5000 0.0000
4 Gd 0.5000 0.5000 0.5000
5 Fe 0.0282 0.9718 0.2500
6 Fe 0.9718 0.0282 0.7500
7 S 0.1219 0.8781 0.0739
8 S 0.1219 0.8781 0.4261
9 S 0.4366 0.5634 0.2500
10 S 0.5634 0.4366 0.7500
11 S 0.8781 0.1219 0.5739
12 S 0.8781 0.1219 0.9261

***

[5]
Crystalline KGdFeS3 at its relaxed geometry, computed with PBE.

Properties
Space-group type: P2_1/m, No. 11
Energy, eV per atom: -5.748

Cell: 8.8049 3.9775 9.2608 Å, 90.00 106.72 90.00°
Fractional coordinates of all 12 atoms:
1 K 0.2062 0.2500 0.2349
2 K 0.7938 0.7500 0.7651
3 Gd 0.3334 0.7500 0.8514
4 Gd 0.6666 0.2500 0.1486
5 Fe 0.0755 0.2500 0.5927
6 Fe 0.9245 0.7500 0.4073
7 S 0.1097 0.2500 0.8462
8 S 0.1961 0.7500 0.5323
9 S 0.4555 0.7500 0.1581
10 S 0.5445 0.2500 0.8419
11 S 0.8039 0.2500 0.4677
12 S 0.8903 0.7500 0.1538

***

[6]
Crystalline KGdFeS3 at its relaxed geometry, computed with PBE.

Properties
Space-group type: Pnma, No. 62
Energy, eV per atom: -5.691

Cell: 10.8809 4.1218 11.9964 Å, 90.00 90.00 90.00°
Fractional coordinates of all 24 atoms:
1 K 0.1701 0.2500 0.0054
2 K 0.3299 0.7500 0.5054
3 K 0.6701 0.2500 0.4946
4 K 0.8299 0.7500 0.9946
5 Gd 0.0182 0.2500 0.6739
6 Gd 0.4818 0.7500 0.1739
7 Gd 0.5182 0.2500 0.8261
8 Gd 0.9818 0.7500 0.3261
9 Fe 0.2428 0.2500 0.2908
## Back to the entry
Church of SATAN, and if FREE MASON Demolay - Jobs Duaghters - Rainbow Girls are "afraid" too do these FAKE George FLoyd TV Show [Protest] QBALLS~ /_\ cause you [planted] /-\ them LOST Land Mines from Korea, and Vietnam, and even Japan as Remains from WW2 as there are still so many in all WW1 E.U. Nations,
than {we Gentiles} can make it (very hard) for these FAKE JEWS too do Fake PROTEST anymore in 2021 and beyond: under their PLANNED-Demic of G20 CORPORATION NATO U.N. Military {NEWS} World Order Militant {G4S] FREE MASON C.O.P.S. in our home towns...
Know and keep logs on [ANYONE] +=+ whom "attends" any PROTEST: in any U.N. FLAG of this Commonwealth FLAG...
The Rag Tag Rebellion "of and for" OUR WORLD REPUBLIC CONSTITUTION Coalition...
The Society of nonmason~ #TheCrewRRR [{**}]